## Source
~~~
The following is a theoretical powder diffraction line list of Li3Mn2CoO6. It was derived from a cell relaxed with PBE+U, using Cu Kα.
Intensities are scaled so that the largest is 100.

The 10 most intense peaks (2θ = 10–90°), low angle first:
h k l, 2θ/deg, intensity
0 1 -2, 18.17, 100
-1 1 2, 34.59, 15
0 2 2, 35.73, 14
1 0 2, 35.99, 13
0 2 -4, 36.80, 9
1 0 -4, 41.46, 28
1 -1 4, 43.72, 49
0 1 -8, 61.32, 7
-1 3 4, 61.70, 7
2 -1 0, 62.38, 7

Structure:
```
data_Li3Mn2CoO6
_chemical_formula_sum 'Li6 Mn4 Co2 O12'
_symmetry_space_group_name_H-M 'P 1'
_symmetry_Int_Tables_number 1
_cell_length_a 2.981
_cell_length_b 6.555
_cell_length_c 12.111
_cell_angle_alpha 102.62
_cell_angle_beta 92.92
_cell_angle_gamma 102.65
loop_
_symmetry_equiv_pos_as_xyz
'x,y,z'
loop_
_atom_site_label
_atom_site_fract_x
_atom_site_fract_y
_atom_site_fract_z
Li1 0.000 0.000 0.000
Li2 0.007 0.009 0.520
Li3 0.290 0.650 0.340
Li4 0.297 0.662 0.861
Li5 0.627 0.321 0.178
Li6 0.670 0.339 0.683
Mn1 0.301 0.656 0.096
Mn2 0.347 0.666 0.592
Mn3 0.950 0.994 0.268
Mn4 0.995 0.005 0.765
Co1 0.648 0.330 0.430
Co2 0.648 0.330 0.930
O1 0.111 0.303 0.306
O2 0.140 0.319 0.806
O3 0.157 0.342 0.055
O4 0.185 0.357 0.554
O5 0.428 0.983 0.158
O6 0.453 0.989 0.878
O7 0.467 0.988 0.375
O8 0.526 0.982 0.638
O9 0.770 0.678 0.223
O10 0.829 0.672 0.486
O11 0.843 0.672 0.982
O12 0.869 0.677 0.703
```

----------

The following is a computed XRD peak list of Na2CaS2O8. It was derived from DFT lattice parameters and positions (GGA-PBE), using λ = 1.5418 Å (Cu Kα).

Unit cell a=6.6173 b=6.6173 c=8.6765 alpha=107.08 beta=107.08 gamma=78.44
Fractional positions:
Na (0.0859, 0.1951, 0.4373)
Na (0.1951, 0.0859, 0.9373)
Na (0.8049, 0.9141, 0.0627)
Na (0.9141, 0.8049, 0.5627)
Ca (0.4383, 0.5617, 0.2500)
Ca (0.5617, 0.4383, 0.7500)
S (0.0999, 0.5327, 0.8146)
S (0.4673, 0.9001, 0.6854)
S (0.5327, 0.0999, 0.3146)
S (0.9001, 0.4673, 0.1854)
O (0.0183, 0.7613, 0.8696)
O (0.0695, 0.6057, 0.2241)
O (0.1744, 0.5011, 0.6604)
O (0.2387, 0.9817, 0.6304)
O (0.2877, 0.4632, 0.9416)
O (0.3943, 0.9305, 0.2759)
O (0.4632, 0.2877, 0.4416)
O (0.4989, 0.8256, 0.8396)
O (0.5011, 0.1744, 0.1604)
O (0.5368, 0.7123, 0.5584)
O (0.6057, 0.0695, 0.7241)
O (0.7123, 0.5368, 0.0584)
O (0.7613, 0.0183, 0.3696)
O (0.8256, 0.4989, 0.3396)
O (0.9305, 0.3943, 0.7759)
O (0.9817, 0.2387, 0.1304)

Main lines, in order of rising 2θ (2θ from 10° to 90°):
d (Å)	two_theta	I (rel.)
4.434	20.02	82.0
4.014	22.14	68.8
3.208	27.81	95.2
3.164	28.21	100.0
3.138	28.44	82.5
3.052	29.26	49.4
2.897	30.87	68.6
2.842	31.48	98.3
2.720	32.93	93.3
2.026	44.74	72.1
~~~

## What to do
The reader should filter the lines above: keep the lines with the word "Kα".

## Response
The following is a theoretical powder diffraction line list of Li3Mn2CoO6. It was derived from a cell relaxed with PBE+U, using Cu Kα.
The following is a computed XRD peak list of Na2CaS2O8. It was derived from DFT lattice parameters and positions (GGA-PBE), using λ = 1.5418 Å (Cu Kα).